Wellbeing & Inclusion News

Understanding Mental Health and Mental Health Conditions

Mental health and mental health conditions are different and exist on a continuum


At one end, Flourishing represents optimal functioning in which a child or young person feels good, functions well, relates well with others, and approaches their learning with purpose, curiosity and optimism.


Next are children and young people who are Going OK. They experience good mental health and an absence of frequent or significant feelings of distress.

[Here the page breaks off for calculated molecules]
=====
DFT (ωB97M-V with the def2-TZVPD basis set) results for a 2-piece molecular cluster, C2H8NO2P overall in a non-equilibrium geometry.

```
! RIJCOSX wB97M-V def2-TZVPD def2/J DEFGRID3
* xyz 0 1
C -2.52 0.58 -0.25
C 2.57 0.66 -0.20
N -1.15 0.53 0.18
O 1.44 -2.51 0.23
O 1.20 0.86 -0.06
P 0.09 -0.01 -0.82
H -2.61 0.88 -1.21
H -2.99 -0.38 -0.17
H -3.17 1.22 0.40
H 2.76 -0.17 -0.87
H 2.89 0.39 0.76
H 3.01 1.55 -0.59
H -1.03 0.32 1.17
H 1.73 -2.34 1.11
*
```

Summary:
gap between HOMO and LUMO (alpha / beta): 7.21 / 6.26 eV
calculated total energy: -17074.3692 eV
energy above the lowest of the compared OMol25 structures with the same formula, charge and spin: 484.4 kJ/mol

Calculated atomic charges, method natural (NBO), unit e: -0.415 -0.247 -0.945 -1.078 -0.796 1.449 0.202 0.194 0.213 0.207 0.201 0.187 0.418 0.408



DFT (ωB97M-V with the def2-TZVPD basis set) results for the molecule C2H8NO2P in a non-equilibrium geometry.

```
! RIJCOSX wB97M-V def2-TZVPD def2/J DEFGRID3
* xyz 0 1
C -1.12 -1.36 0.83
P 0.25 0.29 0.39
C -0.75 1.50 -0.56
O 0.81 0.64 1.70
N 1.32 -0.12 -0.78
O 2.48 -0.82 -0.37
H -0.92 -2.35 0.89
H -1.35 -0.98 1.77
H -1.73 -1.04 0.01
H -0.19 2.37 -0.91
H -1.10 0.89 -1.50
H -1.70 1.81 -0.08
H 0.90 -0.58 -1.53
H 3.12 -0.24 0.14
*
```

Summary:
gap between HOMO and LUMO: 9.65 eV
structure (SMILES): CP(C)(=O)NO
calculated total energy: -17075.5277 eV
energy above the lowest of the compared OMol25 structures with the same formula, charge and spin: 372.6 kJ/mol

Calculated atomic charges, method natural (NBO), unit e: -0.870 1.977 -1.021 -1.085 -0.689 -0.565 0.216 0.218 0.192 0.264 0.235 0.259 0.378 0.491



DFT (ωB97M-V with the def2-TZVPD basis set) results for a 2-piece molecular cluster, C2H8NO2PS overall in a non-equilibrium geometry.

```
! RIJCOSX wB97M-V def2-TZVPD def2/J DEFGRID3
* xyz 0 1
O 1.35 -0.73 -1.81
S 1.42 -0.09 -0.49
O 1.37 -1.29 0.62
P 3.53 0.60 -0.48
H 1.55 -2.21 0.41
H 3.75 -0.73 0.13
H 3.41 1.13 0.85
C -1.94 -0.68 0.55
C -1.84 0.63 0.51
N -1.94 1.38 -0.65
H -2.19 -1.22 -0.34
H -2.01 -1.29 1.43
H -1.87 1.28 1.37
H -2.37 2.29 -0.54
H -2.24 0.93 -1.54
*
```

Summary:
gap between HOMO and LUMO: 8.80 eV
structure (SMILES): O=S(O)#[PH2].C=CN
calculated total energy: -27910.2753 eV
energy above the lowest of the compared OMol25 structures with the same formula, charge and spin: 539.6 kJ/mol

Calculated atomic charges, method natural (NBO), unit e: -0.961 1.317 -0.920 0.068 0.507 0.006 -0.018 -0.520 0.010 -0.829 0.188 0.207 0.189 0.374 0.381



DFT (ωB97M-V with the def2-TZVPD basis set) results for a 2-piece molecular cluster, C2H8NO3 overall in a non-equilibrium geometry.

```
! RIJCOSX wB97M-V def2-TZVPD def2/J DEFGRID3
* xyz 1 1
O -0.81 -0.23 -0.77
C 0.03 -0.09 0.08
O 0.54 1.04 0.47
C 0.66 -1.23 0.83
N 0.17 -2.58 0.50
H 0.24 1.86 -0.10
H 1.75 -1.35 0.96
H 0.50 -1.04 1.89
H -0.59 -2.45 -0.21
H 0.89 -3.11 -0.02
H -0.23 -3.25 1.17
H -1.05 2.48 -1.63
H 0.03 3.50 -1.30
O -0.51 2.81 -0.90
*
```

Summary:
=====
[The calculated molecules stop here]


In the Struggling range are children and young people who may come to the attention of educators due to more noticeable but generally time-limited periods of distress which have a mild impact on their behaviour, learning and relationships.


These experiences may either be a) an expected part of development and growing up, b) an expected emotional reaction to challenging life circumstances, or c) the early signs of an emerging mental health condition.


Finally, children and young people at the far right-hand-side of the continuum have thoughts, feelings and behaviours that are distressing and have a severe impact on everyday activities.


We all shift back and forth along the continuum


Mental health changes over time in response to different stresses and experiences. There are many factors, both internal and external, that affect where someone generally sits on the continuum, and also where they sit at any given point in time.


Most children and young people sit at the positive mental health end of the continuum, most of the time


In our role in the school setting, we help nudge them towards Flourishing and reaching their full potential by promoting their social, emotional and academic development.


However, many children and young people will demonstrate changes in their relationships, behaviour and learning that suggest they may be in, or are moving towards, the other end of the continuum.


As key adults in a child or young person’s life, our goal is to notice these changes and act to get things back on track. The wellbeing team may talk to you about what we have noticed, and what supports might be helpful. If you notice changes, you are encouraged to discuss them with your child's teacher or the wellbeing team. 


Development and context matters


When thinking about where a child or young person is on the continuum, it’s important to consider their age as a very wide range of emotions and behaviours are expected at different stages of development.


It’s also important to consider context and what’s going on in their life. Strong emotional and behavioural reactions are understandable and expected when someone is faced with difficult circumstances.


Sourced from Be You https://beyou.edu.au/resources/mental-health-continuum